To coordinate the diverse activities for commemorating the Bicentennial, the government formed a work group dubbed the Bicentennial Commission. It was born during the government of Ricardo Lagos through a Supreme Decree, meaning, a special and specific order mandated by the president of the Republic based on the Constitution and the law.
The Bicentennial Commission was created on October 16th, 2002, by Supreme Decree Nº176. Its mission is to advise the president on the commemoration of Chile’s 200 years an independent nation. This way, the commission works on everything related to the coordination of policies, design, scheduling, projects and activities aimed at celebrating the Bicentennial to the best of the countries capacities.
On this same note, it is responsible for proposing ideas for activities, policies and measures to our top authority, in this case, Michelle Bachelet.
Their objective is for Chile to reach the Bicentennial as a diverse and developed nation.
It doesn’t end here; the Commission has the task of collecting the dreams and proposals of all Chileans, as well as creating spaces that encourage the participation of every citizen.
Constitution of the Bicentennial Commission
The National Bicentennial Commission and its Advisory Committee was reconstituted in September of 2008, including 17 important authority figures of the country and 42 noted figures from different social areas.
The ceremony was led by president Michelle Bachelet and was held in the Montt Varas hall of the La Moneda Palace.
According to Bachelet’s own words, the fact that a commission was created for the Bicentennial –as well as an advisory committee- springs from an idea to “think and rethink Chile as an independent nation with the Bicentennial in mind; reflect on our past and our future; find our essence; identify our passions; bring out our virtues and take charge of our pending tasks”.
The National Bicentennial Commission is presided by the minister of the Interior and the vice-chairmen are the minister and president of the Council of Culture and the Arts and the ministers of Housing and Urban Planning and Public Works. Other members of the commission are the ministers of National Assets, Transportation and Telecommunications and of the Government General Secretariat.
Also included in the Commission are the presidents of the Senate, the Supreme Court and the House of Representatives (Deputies); the Comptroller General of the Republic; the head of the National Defense Staff; the presidents of the Chilean Association of Municipalities, of the Episcopalian Conference of Chile and of the National Evangelic Union of Chile (Round Table); the chancellor of the Universidad de Chile, the presidents of the Central Workers’ Union, of the Production and Trade Confederation and of the Federation of Social Communication Media and the Grand Master of the Great Lodge of Chile.
Advisory groups
– Presidential Advisory Commission for the Bicentennial of the Republic: it is headed up by the minister of the Interior and is made up of 20 people that represent different social areas. Thus, it includes authority figures and leaders from both the private and public sectors, representatives of different ethnicities, politics, the arts, communications, sports, science and the business world.
– Bicentennial Advisory Committee: it is comprised of 42 people, whose noteworthy careers have allowed them to be a contribution in the planning of celebration activities thanks to their experience and knowledge.
Initiatives set forth by the Commission
– Debate and reflection: the intention is to consider the questions of the past and also of the future of Chile as a nation and as a Latin American country.
By promoting moments for debate and reflection, the Bicentennial Commission seeks to contribute and support moments that provide a chance to express the diversity of opinions, projects and beliefs present in Chile.
In addition, the Commission proposes issues of vital importance for Chilean society: history, identity, development, education and citizenship, among many other topics.
– Revisiting Chile: it is a project that originated from the instances for debate and reflection organized by different universities. It consists of the development of tales and fragments that narrate stories and express our national identity.
– Bicentennial Forum: it is a space for discussing issues of national interest through a call to the citizenry. Likewise, it constitutes an opportunity open to knowledge and reflecting on the perspectives offered by different national and foreign speakers.
The idea behind each Bicentennial Forum is to be a complement for getting the word out about the different contents.
Cultural program
It considers rescuing artistic and cultural memories, using the Bicentennial as a time to put in special effort for recovering and keeping alive every aspect of national culture.
In order to do so, the Bicentennial Commission seeks to develop projects that express what Chile’s 200 years as an independent republic have been like. Likewise, it contemplates the publication of the 200 most significant pieces of visual art.
Two of the standout projects are the restorations of the National History Museum and of the flag that was present at the oath of Independence, in 1818.
The cultural program of the Bicentennial Commission also contemplates journalistic activities through invitations to museums, cultural centers and festivals, both music and film orientated, as well as book fairs and other forums for promoting culture. The idea is that in 2009 and 2010, several versions of these events are to take place with special characteristics that keep the celebration of the Bicentennial in mind.
Also included are exceptional cultural events. This was the motivation behind the creation of the Great Bicentennial Cantata and the events of the Foundation of Youth Orchestras.
Finally, the cultural programs of the Bicentennial Commission include a boost in artistic production based on the theme of the Republic’s 200 year anniversary.
What is the Commission interested in? They want the creators to work in their medium, using the theme of the Bicentennial as the fundamental aspect of their piece. This is why work is done alongside the institutions that are dedicated to the promotion of art. For example, art schools, the Book Council and also the Audiovisual and Music councils, among others.
The Bicentennial Award
It is an annual distinction that is handed out as a living tribute to someone that stands out in public service, whose career has made a difference in the country’s culture, thought and the wellbeing of its inhabitants, clearly representing the republican spirit through their legacy.
Candidates are proposed by public or private institutions, companies or non-profit corporations, embassies, international bodies, foundations and higher knowledge institutions.
The winners of the Bicentennial Award receive prize money and a bronze sculpture made by artist Juan Sebastian Solar that represents the Cal y Canto bridge.
The award is handed out jointly by the Bicentennial Commission, the Cultural Heritage Corporation of Chile and the Universisdad de Chile.
Bicentennial School Solidarity Award
It is handed out with the idea of promoting values and encouraging practices that contribute to building a more democratic and supportive country. At the same time, it recognizes great social commitment with the Bicentennial in mind.
This distinction also intends to promote practicing solidarity within the school curriculum; what this means is including these types of practices when teaching the subjects that children learn all year. Not just that, it is also intended as a test for applying new innovative ideas and promoting the capacity of real conflict resolution, facilitating the promotion and expression of different experiences and cooperating with teamwork between educational establishments and the different organizations that are present within the community.
**Unrelated to this article: crystal structures:**
........
Entry 1:
30
Lattice="2.993 -5.149 0.000 2.993 5.149 0.000 -0.510 0.000 14.776" Properties=species:S:1:pos:R:3 comment="PBE Ba3CdIr2O9, relaxed" space_group="No. 15" formation_energy_ev_per_atom=-2.0696 e_tot_ev_per_atom=-6.2500 magmom_total_mub_per_fu=0.00 pbc="T T T"
Ba 2.611 5.124 11.082
Ba 2.746 1.703 6.116
Ba 2.986 1.703 1.272
Ba 2.492 -1.703 13.504
Ba 2.731 -1.703 8.660
Ba 2.866 -5.124 3.694
Cd 0.000 0.000 0.000
Cd -0.255 0.000 7.388
Ir 2.475 1.722 12.356
Ir 2.748 1.722 9.808
Ir 2.729 -1.722 4.968
Ir 3.003 -1.722 2.420
O 1.236 2.499 10.920
O 2.300 3.354 13.428
O 0.948 0.924 13.300
O 1.514 0.968 8.489
O 2.923 3.354 8.735
O 1.203 -0.924 5.912
O 1.769 -0.968 1.101
O 2.611 0.124 11.082
O 3.987 2.499 11.244
O 1.491 -2.499 3.532
O 2.866 -0.124 3.694
O 3.708 0.968 13.675
O 4.274 0.924 8.864
O 2.555 -3.354 6.041
O 3.963 -0.968 6.287
O 4.529 -0.924 1.476
O 3.177 -3.354 1.347
O 4.241 -2.499 3.856

---

Entry 2:
12
Lattice="5.105 0.000 0.000 0.000 10.005 0.000 0.000 0.000 8.648" Properties=species:S:1:pos:R:3 comment="PBE K2BaCdSb2, relaxed" space_group="No. 26" formation_energy_ev_per_atom=-0.6917 e_tot_ev_per_atom=-2.8478 magmom_total_mub_per_fu=0.00 pbc="T T T"
K 0.000 0.777 0.000
K 0.000 9.228 4.324
K 2.553 1.607 2.808
K 2.553 8.398 7.132
Ba 2.553 4.504 8.465
Ba 2.553 5.501 4.141
Cd 0.000 3.231 5.481
Cd 0.000 6.774 1.157
Sb 0.000 3.869 2.319
Sb 0.000 6.136 6.644
Sb 2.553 1.808 6.217
Sb 2.553 8.197 1.893

---

Entry 3:
32
Lattice="13.363 0.000 0.000 0.000 5.033 0.000 0.000 0.000 17.035" Properties=species:S:1:pos:R:3 comment="PBE KBa2Cd2Sb3, relaxed" space_group="No. 62" formation_energy_ev_per_atom=-0.7749 e_tot_ev_per_atom=-3.1005 magmom_total_mub_per_fu=0.00 pbc="T T T"
K 1.351 1.258 0.925
K 5.330 3.775 9.442
K 8.033 1.258 7.593
K 12.011 3.775 16.110
Ba 1.332 3.775 7.285
Ba 1.699 1.258 13.451
Ba 4.982 3.775 4.933
Ba 5.350 1.258 15.802
Ba 8.013 3.775 1.232
Ba 8.380 1.258 12.101
Ba 11.664 3.775 3.584
Ba 12.031 1.258 9.750
Cd 1.801 1.258 4.829
Cd 2.617 1.258 9.942
Cd 4.065 3.775 1.425
Cd 4.880 3.775 13.347
Cd 8.483 1.258 3.688
Cd 9.298 1.258 15.610
Cd 10.746 3.775 7.092
Cd 11.561 3.775 12.205
Sb 1.044 3.775 10.812
Sb 1.786 3.775 3.347
Sb 2.847 3.775 15.745
Sb 3.834 1.258 7.228
Sb 4.895 1.258 11.865
Sb 5.638 1.258 2.295
Sb 7.725 3.775 14.740
Sb 8.467 3.775 5.170
Sb 9.529 3.775 9.807
Sb 10.515 1.258 1.290
Sb 11.577 1.258 13.687
Sb 12.319 1.258 6.222


1.
Density functional theory data (PBE) for an optimized crystal structure of K2ZnH12S2O14.

## Properties
Electronic total energy ... -4.903 eV/atom
V ... 824.3 Å³ per cell
E_form ... -1.2858 eV per atom
Relative energy among the computed polymorphs ... 345.3 meV per atom

Cell lengths 6.6691, 12.8320, 9.9081 Å; angles 90.00, 103.55, 90.00 degrees
Closest atoms and distances in Å follow each position.
Element x y z (fractional)
K1 0.1912 0.2381 0.3259  5 O 2.64-2.93
K2 0.1912 0.2619 0.8259  5 O 2.64-2.93
K3 0.8088 0.7381 0.1741  5 O 2.64-2.93
K4 0.8088 0.7619 0.6741  5 O 2.64-2.93
........
In order for an experience to receive this award, it must have specific characteristics. For example, it must be a systematic and organized practice.
On that note, it is necessary that the protagonists be the students themselves and it must have solidarity as its backbone, in addition to being backed by a commitment on the part of the educational institution.